== Brief ==
Write out only the lines underneath with the word "states" in them.

== Entries ==
/*
This record from Alexandria via LeMat-Bulk describes a relaxed InTcRu2 crystal. The functional is GGA-PBE.

Space group   No. 160
Spin magnetization   0.0 μB per formula unit
Energy of formation   0.283 eV/atom

abc: 9.138 9.138 9.138
angles: 17.86 17.86 17.86
Sites, in units of the cell vectors:
In1 0.000 0.000 0.000
Tc1 0.757 0.757 0.757
Ru1 0.246 0.246 0.246
Ru2 0.500 0.500 0.500

=====

This record from Alexandria via LeMat-Bulk describes a relaxed InTcRu2 crystal. The functional is GGA-PBE.

Space group   No. 71
Spin magnetization   0.0 μB per formula unit
Energy of formation   0.339 eV/atom

abc: 5.211 5.211 5.211
angles: 145.54 128.00 63.89
Sites, in units of the cell vectors:
In1 0.000 0.000 0.000
Tc1 0.500 0.500 0.000
Ru1 0.253 0.753 0.500
Ru2 0.747 0.247 0.500

=====

This record from Alexandria via LeMat-Bulk describes a relaxed In2TcRu crystal. The functional is GGA-PBE.

Space group   No. 160
Spin magnetization   0.0 μB per formula unit
Energy of formation   0.256 eV/atom
E above lowest polymorph   207.2 meV per atom

abc: 9.494 9.494 9.494
angles: 18.18 18.18 18.18
Sites, in units of the cell vectors:
In1 0.000 0.000 0.000
In2 0.235 0.235 0.235
Tc1 0.485 0.485 0.485
Ru1 0.749 0.749 0.749

=====

VASP calculation (PBE-GGA) on an optimized crystal structure of Ac2Zn5Pt4.

Results
N(E_F): 0.47 states/eV/atom
uncorrected energy: -4.243 eV per atom
energy of formation: -0.72 eV per atom
total magnetization: 0.00 Bohr magnetons per cell

a b c (Å): 5.552 10.073 16.013
angles (deg): 90.00 90.00 90.00
Space group Fmmm (No. 69)
Unique sites:
1 Ac 0.000 0.000 0.148
2 Zn 0.000 0.000 0.500
3 Zn 0.250 0.250 0.000
4 Zn 0.250 0.250 0.250
5 Pt 0.000 0.153 0.372

=====

# 1
VASP calculation (PBE) on a relaxed structure of SrMg4Cr.

Properties
* mass density: 2.6 g/cm³
* energy of formation: 221 meV/atom

Lattice parameters (Å, degrees): 6.016 6.016 6.016 60.00 60.00 60.00
Positions (direct):
Sr 0.000 0.000 0.000
Mg 0.376 0.376 0.376
Mg 0.376 0.376 0.872
Mg 0.376 0.872 0.376
Mg 0.872 0.376 0.376
Cr 0.750 0.750 0.750

---

# 2
VASP calculation (PBE) on a relaxed structure of TbNpSe2O.

Properties
* formation energy from raw total energies: -2.102 eV per atom
* mass density: 8.3 g/cm³

Lattice parameters (Å, degrees): 3.987 3.987 14.326 90.00 90.00 90.00
Positions (direct):
Tb 0.250 0.250 0.122
Tb 0.750 0.750 0.878
Np 0.250 0.250 0.583
Np 0.750 0.750 0.417
Se 0.250 0.250 0.313
Se 0.250 0.250 0.908
Se 0.750 0.750 0.092
Se 0.750 0.750 0.687
O 0.250 0.750 0.500
O 0.750 0.250 0.500

---

# 3
VASP calculation (PBE) on a relaxed structure of CeTmOs.

Properties
* polymorph energy (0 for the lowest one): 0.25 eV/f.u.
* mass density: 11.4 g/cm³
* energy of formation: -108 meV/atom

Lattice parameters (Å, degrees): 4.904 4.003 7.408 90.00 91.77 90.00
Positions (direct):
Ce 0.226 0.250 0.480
Ce 0.774 0.750 0.520
Tm 0.262 0.750 0.875
Tm 0.738 0.250 0.125
Os 0.343 0.750 0.254
Os 0.657 0.250 0.746

---

# 4
VASP calculation (PBE) on a relaxed structure of LiCe2Hg3.

Properties
* polymorph energy (0 for the lowest one): 0.00 eV/f.u.
* mass density: 9.7 g/cm³
* energy of formation: -203 meV/atom

Lattice parameters (Å, degrees): 9.424 9.424 9.424 158.95 149.47 37.38
Positions (direct):
Li 0.000 0.000 0.000
Ce 0.319 0.819 0.500
Ce 0.572 0.572 0.000
Hg 0.146 0.146 0.000
Hg 0.733 0.233 0.500
Hg 0.898 0.398 0.500

---

# 5
VASP calculation (PBE) on a relaxed structure of Pm2RhAu.

Properties
* mass density: 9.3 g/cm³
* energy of formation: -692 meV/atom

Lattice parameters (Å, degrees): 7.616 7.616 7.616 31.25 31.25 31.25
Positions (direct):
Pm 0.000 0.000 0.000
Pm 0.187 0.187 0.187
Rh 0.592 0.592 0.592
Au 0.428 0.428 0.428

---

# 6
VASP calculation (PBE) on a relaxed structure of CsVSb3.

Properties
* polymorph energy (0 for the lowest one): 9.52 eV/f.u.
* formation energy from raw total energies: 1.946 eV per atom
* mass density: 4.1 g/cm³

Lattice parameters (Å, degrees): 6.063 6.063 6.063 90.00 90.00 90.00
Positions (direct):
*/

== Completed ==
N(E_F): 0.47 states/eV/atom